Thursday, March 16, 2006

If Only Victor Davis Hanson Had Been Sober

DISCLAIMER:(if this offends anyone by being here, please remove was too big for the comments section)

By Marc Atkinson, E Pluribus

I’ve been reading VDH for close to ten years now, and while the former Professor of Classics at Fresno and current Hoover Institute member navigates the turbulent waters of history and its current crop of agenda driven revisionists with a marked lucidity, he also has the intermittent and always useful memory lapse, allowing him to assail the detractors of the defunct Dubai ports deal as two political camps in an inverted cone of silence, whereby panic-stricken isolationists and ‘anybody but Bush’ devotees can hear their individual arguments coalesce to echo a ‘collective insanity’.

Ironically, VDH (whom I admire, read, and quote on E Pluribus Reluctor on a regular basis)..parrots the left in this regard….”we know better, and you’re just dumb”.

Given the intellectual weight of the mighty Hanson, many are swayed by the sheer volume of his whispered assertions and the assumed veracity of his proclamations that “Rarely has reason been so routed by pure emotion.”...Again, VDH assumes those who are against this deal are Clinton/Gore voters, worried 'about the children'.

Hanson goes on to essentially throw his hands in the air with examples of the Panama Canal (which I remember quite well, contrary to another assumption that we all forgot) , Chinese influence, the Mexican border, et al. And these are valid points, each of which requires redress in it own forum. This argument reminds me of my 8 year-olds son objection to my telling him to pick up his room: “ why should I dad, it’s already a mess?”. Because it’s the right thing to do, that’s why. And if it had been 19 Chinese terrorists on 9/11, I seriously doubt Americans would stand for that nation continuing to operate our largest port, the port of Los Angeles because- ‘oh well, we’ve been buying cheap Chinese stuff for years now anyway’. It took more than twenty years and the power of W.Edwards Demming for Americans to look at Japan as a legitimate trading partner instead of a partner in fascism with the third reich. (Got my Hitler reference in—musn't forget that).

To be sure, the image of Hillary Clinton and Pat Buchanan shaking hands as the Dubai deal sank is naturally a convenient vehicle of validation for Hanson to point to mere emotion and hysteria as the impetus for the rejection of this business deal that apparently our president wasn’t even aware of, while simultaneously assuring us that he’s got our backs. This president and his family with their known connections to the Saudi royal family and even the Bin Ladens at one point do themselves no favors by allowing this transaction to proceed. Bush administration officials themselves refer to the less than 5% of shipping containers inspected as a gigantic hole in our security. We know that people have been successfully smuggled in shipping containers from the east. These were people only looking for a better life. Are we to suppose that terrorists and/or their weapons would be stopped by benevolent Islamic port employees in the Middle East sympathetic to American efforts in their homelands, because that is precisely where our security would reside, had this fox guarding-the-henhouse deal succeeded. The same president who has shown us through deeds that he is not interested in the very first order of business of security by simply mandating that our national sovereignty be maintained at our southern or northern borders, has ponied out the preposterous ‘guest-worker’ program, and who only this month was in India glad-handing the largest repository of out-sourced American jobs, was telling us to trust the UAE, a country that had all nineteen 9/11 terrorists pass through it, funneled money for the 9/11 atrocity, and even had its own royal family as the guests of Osama Bin Laden as late as 1999, according to CIA memo of 2/19/1999, mere months after Al Qaeda blew up two US embassies in Africa with money snaking through Dubai banks. But Dubai’s proximity to 9/11 doesn’t end there. 13 of the 19 terrorists entered the US via Dubai, with the original 20th hijacker –Mohammed al-Katani, also gliding through Dubai’s security net that George Bush wants our nation to put our trust in. Paul Sperry has outlined further indictments of this ‘ally in the war on terror’:..” It's also not surprising, given Dubai's cozy ties to bin Laden and Taleb leaders, that the hijackers were able to use Dubai as their financial base in addition to their forward staging base. As they came through Dubai, they were outfitted by the nephew of 9/11 mastermind Khalid Sheikh Mohammed with credit cards, cash, bank accounts and American-style clothing. More than $100,000 in al-Qaida funds were funneled through Dubai banks. One single transfer from Dubai into al-Shehhi's and his pal Mohamed Atta's Florida checking account totaled $70,000.

The day before crashing his hijacked United Airlines jet, al-Shehhi wired $5,400 in leftover al-Qaida funds back to Dubai. Other hijackers also wired residuals there. After the attacks, investigators traced al-Shehhi phone calls back to the UAE, where he is now celebrated as a hero in mosques and other local gathering places outside the gaze of Western investors, who are too intoxicated by glittering high-rises and other signs of modernity to understand that the desert oasis is still haunted by ancient demons.”

I recommend a thorough read of the entire article here:

I fear for Victor Davis Hanson’s reputation in conservative circles, because he has stated many well-researched opinions on matters sometimes beyond his purview and been correct. This Dubai Ports World deal however, reeked of what it was: very bad policy with another assumed friend of the U.S., and all for money, once again. It seems to me that in the post-9/11 era, any country that wishes to conduct commerce with us, and especially a country in the Middle east that owns a business where we rely on them to provide security from their home ports through inspections in foreign ports- is a pipe dream that must be a proven reality before any trust is bestowed.

In fact, if George Bush ever expects to resuscitate this political cadaver, he needs to borrow a phrase from the Great Communicator once used to bring the Soviet bear to heel:

“Trust---but verified”

Ann Coulter Lets Fly on Claude Allen

Although I don't always agree with Ann Coulter on strategy, this article on the Claude Allen story is hilarious.

This is the best line:

"He became a born-again Christian at college and -- the obvious next step -- a Republican after college. These acts are known in the liberal rulebook as "strike two" and "strike three," respectively."

In case you miss the subtlety, Claude Allen is a conservative black man, which was "strike one" for him.

Someday, we will all look back at these days and laugh. "Remember when liberalism used to suppose that diversity only meant gender and skin color? Hee hee, those days were a riot!"

Wednesday, March 15, 2006

A Little Victor Davis Hansen for Sobriety

I know EVERYONE in the country is breathing a sigh of relief now that those crazy Arabs aren't going to take over our ports, but Victor Davis Hansen sheds a little reality on the subject with his article this week.

He points out:

"For the last half-century, we have been living in a complex interconnected world of mutual reliance"

It's true. At first, I was like everybody else. I even forwarded some of those "what America will look like if UAE takes over the ports" emails. Unfortunately, I think Hansen is one of the most brilliant thinkers around and he changed my mind. I think we made a mistake.

Here is the article.

Will They Take it all Back?

The administration is finally starting to get serious about defending the intelligence that suggested the presence of WMD's in Iraq in March of 2003, as well as exposing their connections to terrorism.

48,000 boxes of documents confiscated from the hard drives of Iraqi miltary computers are about to be released, some of them already translated. Initial reports "strongly suggest that Saddam had hidden his weapons of mass destruction from weapons inspectors - and show the Iraqi dictator discussing previously unknown plans to enrich uranium as recently as 2000" (Free Republic-March 13th).

So, if it turns out that these documents reveal the presence of WMD's, probably moved to Syria and elsewhere right before the invasion, will all the anti-war types claiming that the war was based on lies finally shut up?

Probably not, but at least good historians will have a chance to record what really happened.

Reuters, never missing an opportunity to defend a mass-murdering dictator, has a different take on the information. Their article claims that "no such weapons have been found, and the Iraq Survey Group discovered no new evidence of WMD in its review of the prewar material."

So who's right? I guess we will have to wait and see. But if it turns out that the WMD's were there, and that Sadaam was funding terrorists, don't hold your breath on apologies from the left.

Reuter's Article

Free Republic Article

Tuesday, March 14, 2006

Navy Trying to Erase Tatoos

The Navy has issued new restrictions on tatoos based on an increase in the number of recruits coming in needing a waiver.

A waiver in the military basically means you have some condition or other negative criterion met that they will make an exception for. For example, you may apply to Officer Candidate School and be 37 years old. Since the age cut-off is 32, you must get a waiver for it.

How is a waiver given for a tatoo? Either it falls within the regulations or it does not. It seems that sometimes the recruit is told he must go back and have it either altered or removed.

Since I got my one and only tatoo when I was on active duty, (see picture) this article was sort of interesting to me.

Free Image Hosting at

Here is the entire article

CAIR Inner Workings

Friday, March 10, 2006

Why wasn't I entered in this contest?

South Dakota Abortion

So South Dakota Republicans and conservatives have decided to float a trial balloon attempting to see what the new Supreme Court will do if they ban all abortions.

Once again, as with trying to ban gay adoptions and marriages, the big picture is missed by Republican strategists and we run the risk of taking big losses in the mid-term elections this year.

Putting aside the theoretical basis for why some of us don't like Roe v Wade (that is dispensing with arguments about whether or not strict constructionsists care about women's rights) let us analyze this strategy for a moment.

These people apparently believe that Allito and Roberts are in favor of overturning Roe with one swill of the pen. While it is true that Thomas and Scalia would probably do so, it is not even close to clear that the two freshmen justices are persuaded in that direction. Kennedy has recently shown a little ambivalence in his opinion over "partial birth" abortions, so he is a BIG MAYBE. You can forget about Souter, Bryer and Ginsburg.

All of that not withstanding, Roe is a part of American jurisprudence, and both Allito and Roberts, while labeled "conservative" (for better or worse) have given absolutely no indication in their writings or during hearings that they would be willing to undo precedents in such a sweeping manner.

What is of even more importance is to note that the American people are actually pretty comfortable with the fact the Roe exists, even though the vast majority of them would like to see it limited from the way it is currently applied. This effort by the South Dakota legislature will make Republicans look like extremists(like on the gay adoption nonsense).

Of course, the left will try to make everybody think that overturning Roe would mean abortions would be outlawed immediately and we would see a return to back alley wire hangar procedures. They know better, because they aren't stupid. But it is precisely because they are not stupid that they will frame it that way and persuade enough of the "mall people" that this will occur.

If the effort is to get rid of Roe--and based on the language in the platform, it is--this is not the time or place to try it. Little pieces would be better. Try banning 3rd trimester abortions with reasonable exceptions and see how that holds. The MODERATE supreme court would probably go for that, and the American people have made it clear in poll after poll that they like those kinds of restrictions. It's a modestly paced, common sense approach. This defines Americans.

During the Clinton election cycle, the mantra was "it's the economy, stupid." Right now, "it's the war on terror, stupid" would be appropriate to remember. Deep in the psyche of every American, (even liberals) is a fear that September 11th will happen again, except this time with a nuclear or biological weapon. Sure,everybody appears to be on a September 10th footing, but they know we are still at risk and they want the government to be vigilant. We need to continue to make the case that we are aware of this risk and that Republicans are the solution. If a weapon of that magnitude is detonated in a major US city, nobody is going to care whether or not gays are allowed to adopt or what the governor of South Dakota thinks about abortion.

Credit goes to LGF

Monday, March 06, 2006

Here here, Mr. Prager

### Data records from another source follow
(1)
Computed XRD peak list
Compound: Ac5Np2S12
Radiation: copper Kα
Structure: a DFT-relaxed cell (PBE, Alexandria)
Neutral-atom scattering factors, no anomalous dispersion.

Structural model:
```
data_Ac5Np2S12
_cell_length_a 16.2016
_cell_length_b 7.7267
_cell_length_c 9.4666
_cell_angle_alpha 90.00
_cell_angle_beta 107.39
_cell_angle_gamma 90.00
_symmetry_space_group_name_H-M 'C 1 2/m 1'
_symmetry_Int_Tables_number 12
_symmetry_space_group_name_Hall '-C 2y'
loop_
_atom_site_label
_atom_site_fract_x
_atom_site_fract_y
_atom_site_fract_z
Ac1 0.0000 0.0000 0.0000
Ac2 0.1901 0.5000 0.3288
Ac3 0.2005 0.5000 0.8609
Np1 0.0000 0.2491 0.5000
S1 0.0000 0.0000 0.3133
S2 0.0018 0.5000 0.6971
S3 0.1511 0.2507 0.0718
S4 0.1675 0.2662 0.5837
```

Peak list (10 most intense, 2θ = 5–70°, by intensity)
2theta, I (rel.)
22.0, 100
20.7, 97
30.4, 47
34.8, 42
25.1, 35
23.0, 35
38.0, 34
25.5, 33
25.6, 32
41.9, 27

---

(2)
Computed XRD peak list
Compound: Ac2NpS5
Radiation: copper Kα
Structure: a DFT-relaxed cell (PBE, Alexandria)
Neutral-atom scattering factors, no anomalous dispersion.

Structural model:
```
data_Ac2NpS5
_cell_length_a 12.1949
_cell_length_b 8.4622
_cell_length_c 7.7304
_cell_angle_alpha 90.00
_cell_angle_beta 90.00
_cell_angle_gamma 90.00
_symmetry_space_group_name_H-M 'P n m a'
_symmetry_Int_Tables_number 62
_symmetry_space_group_name_Hall '-P 2ac 2n'
loop_
_atom_site_label
_atom_site_fract_x
_atom_site_fract_y
_atom_site_fract_z
Ac1 0.1725 0.0023 0.0429
Np1 0.0040 0.2500 0.5513
S1 0.0026 0.2500 0.9449
S2 0.0839 0.5315 0.6675
S3 0.1907 0.2500 0.3466
S4 0.2090 0.7500 0.3265
```

Peak list (10 most intense, 2θ = 5–70°, by intensity)
2theta, I (rel.)
24.7, 100
25.1, 79
34.7, 55
25.6, 50
23.0, 48
44.4, 35
50.0, 32
36.3, 25
32.2, 24
42.7, 24

---

(3)
Computed XRD peak list
Compound: Ac3NpS7
Radiation: copper Kα
Structure: a DFT-relaxed cell (PBE, Alexandria)
Neutral-atom scattering factors, no anomalous dispersion.

Structural model:
```
data_Ac3NpS7
_cell_length_a 13.8144
_cell_length_b 9.2016
_cell_length_c 9.7699
_cell_angle_alpha 90.00
_cell_angle_beta 90.00
_cell_angle_gamma 90.00
_symmetry_space_group_name_H-M 'C m c m'
_symmetry_Int_Tables_number 63
_symmetry_space_group_name_Hall '-C 2c 2'
loop_
_atom_site_label
_atom_site_fract_x
_atom_site_fract_y
_atom_site_fract_z
Ac1 0.0000 0.0000 0.0000
Ac2 0.2168 0.3092 0.2500
Np1 0.0000 0.5000 0.0000
S1 0.0000 0.4057 0.2500
S2 0.1288 0.0253 0.2500
S3 0.1302 0.3026 0.5404
```

Peak list (10 most intense, 2θ = 5–70°, by intensity)
2theta, I (rel.)
22.3, 100
23.2, 80
37.4, 54
44.0, 39
26.6, 35
35.1, 30
36.8, 24
45.5, 23
25.8, 17
33.7, 15


Starting from the GGA-PBE geometry in Alexandria, the X-ray diffraction stick pattern of Tb7Ho2 was simulated for Cu Kα X-rays.

Most intense lines, 2θ = 15–90°, low angle first:
- hkl 1 1 1, 2θ 30.9, I = 100
- hkl 2 -1 2, 2θ 35.8, I = 51
- hkl 3 0 0, 2θ 51.6, I = 36
- hkl 3 0 3, 2θ 61.4, I = 43
- hkl 4 1 1, 2θ 84.2, I = 18
- hkl 3 0 6, 2θ 86.9, I = 17

Here is the entire text from a great article by Dennis Prager entitled "The Academy Award Speech We Should Have Heard:"

"I thank you for this wonderful award. Receiving an Academy Award gives the recipient an almost unique opportunity to speak to hundreds of millions people around the world, so I would like take this once-in-a-lifetime moment to say this:

First, I want to thank my country, the United States of America. Every one of us here has this country to thank for enabling us to live lives of unprecedented freedom and unimaginable affluence. Too many of us forget that no other country in history has offered such opportunities to people in our profession or in any other profession, for that matter.

Second, I want to thank the men and women of the armed forces of the United States. While we bask in freedom and spend a good part of our lives going from party to party and award show to award show, tens of thousands of my fellow Americans are confronting a menace to our world as great as that fought by previous generations fighting Nazism and communism.

At the same time, I also want to apologize to these troops for my profession not having made even one motion picture about any of the heroic American fighters in Afghanistan and Iraq. This country is fighting a war, Hollywood. You may think this war is unwise, waged under mistaken, or even false, pretenses. And as an actor in Hollywood, you are overwhelmingly likely to hate this commander in chief. But even the men and women of Hollywood must recognize that America is fighting the worst people of our time, people who hurt every group Hollywood claims to care about -- minorities, women, gays -- people who engage in the sins Hollywood most professes to oppose -- intolerance and violence -- far more than anyone else on the planet.

In another era, when what many have labeled "the greatest generation" fought the German Nazis and the Japanese fascists, Hollywood made movie after movie depicting that great war and our great warriors. And Hollywood showed freedom's enemies as the cruel and vicious people they were. We have not produced one film yet depicting this war in positive terms or one depicting this generation's enemies of freedom as the cruel and vicious people they are.

In fact, the only nominated film about people who slaughter children at discos, blow up weddings, and bomb pizzerias and buses filled with men, women and children is one that attempts to show these murderers in God's name as complex human beings. Just imagine how the Academy would have reacted 60 years ago to a film depicting Nazi murderers as complex human beings. We have descended far.

We in Hollywood walk around thinking we are very important. That is why this year's nominated films for best picture are largely pictures with messages, pictures that relatively few people actually see. But although Hollywood was always concerned with politics, we have let ourselves be taken over by those for whom their message is more significant than the primary purposes of film -- to illuminate life and to entertain. Yes, entertain.

You know, entertainment is actually a noble pursuit. Life is difficult for almost every human being on earth. And if we can offer people an elevated way to divert their attention for a couple of hours from their troubled child, their marital tensions, their ill parent, their financial woes, we have rendered the world a greater service than by making another message-film against racism in America, the least racist country in the world.

My fellow actors, we walk around feeling that we are very important. But we do so only because we confuse fame with significance. We do have more fame than any other human beings in history. Far more people have heard of any actor here tonight than of any of the discoverers of any medication saving billions of lives, of any teacher of the disabled, of any nurse tending the aged, of almost any national leader.

But the truth is that, as noble a calling as acting can be, all we do is make-believe: We portray other people, and we speak words written by other people. Everyone knows our names, but almost no one knows us. All they know are the characters we play.

Thank you again. I hope I haven't ruined your evening."

I could not have said it better myself, so I didn't even try.